Wanted
Repeat every line further below that contains the word "H13".

Contents
'''
Computed, not measured: a 6-piece molecular cluster, C18H33N6O9 overall, with ωB97M-V/def2-TZVPD.

Last column: natural (NBO) charge in e.
Atoms and positions in Å:
N1 12.41 -23.67 -52.53  0.70
O1 12.62 -22.92 -51.60  -0.51
O2 13.10 -23.53 -53.66  -0.64
O3 11.33 -24.16 -52.71  -0.52
C1 12.02 -24.31 -48.82  -0.17
C2 12.49 -24.15 -47.36  -0.22
C3 11.58 -24.56 -46.16  -0.18
C4 10.12 -25.04 -46.63  0.01
C5 9.70 -25.06 -48.05  -0.15
C6 10.73 -24.71 -49.18  -0.16
N2 9.18 -25.41 -45.52  0.46
O4 7.90 -25.43 -45.84  -0.42
O5 9.58 -25.62 -44.34  -0.37
H1 12.75 -24.22 -49.62  0.27
H2 13.58 -23.81 -46.96  0.24
H3 11.78 -24.47 -45.16  0.22
H4 8.75 -25.48 -48.23  0.23
H5 10.28 -24.87 -50.02  0.22
C7 9.15 -23.00 -58.06  0.51
O6 9.48 -24.05 -58.71  -0.67
N3 9.62 -22.66 -56.82  -0.42
C8 9.21 -21.38 -56.11  -0.41
C9 10.41 -23.64 -55.98  -0.44
H6 8.62 -22.21 -58.59  0.12
H7 8.15 -21.12 -56.10  0.19
H8 9.53 -20.50 -56.37  0.19
H9 9.49 -21.69 -55.05  0.24
H10 9.84 -24.24 -55.38  0.21
H11 11.30 -23.23 -55.64  0.24
H12 10.63 -24.51 -56.51  0.23
C10 16.71 -23.87 -54.41  0.50
O7 16.98 -22.63 -54.50  -0.62
N4 17.77 -24.89 -54.52  -0.46
C11 17.52 -26.33 -54.58  -0.41
C12 19.09 -24.37 -54.93  -0.43
H13 15.59 -24.34 -54.37  0.17
H14 17.83 -26.60 -55.48  0.19
H15 16.59 -26.44 -54.05  0.22
H16 18.18 -26.86 -54.14  0.18
H17 19.89 -25.13 -54.72  0.18
H18 19.24 -23.56 -54.12  0.25
H19 19.15 -24.28 -56.00  0.20
C13 13.97 -27.25 -58.20  0.53
O8 13.96 -27.60 -59.41  -0.64
N5 13.99 -25.91 -57.88  -0.44
C14 14.21 -25.48 -56.48  -0.43
C15 13.81 -24.79 -58.79  -0.43
H20 14.02 -28.01 -57.19  0.12
H21 14.86 -24.63 -56.17  0.22
H22 14.67 -26.13 -55.97  0.19
H23 13.35 -25.42 -55.81  0.23
H24 14.64 -24.99 -59.62  0.19
H25 13.96 -23.66 -58.45  0.24
H26 13.03 -24.91 -59.45  0.22
C16 7.62 -20.25 -52.12  0.53
O9 8.40 -20.03 -53.10  -0.64
N6 7.55 -21.43 -51.46  -0.42
C17 6.70 -21.72 -50.23  -0.38
C18 8.40 -22.53 -51.98  -0.42
H27 7.02 -19.70 -51.72  0.09
H28 6.36 -22.73 -50.33  0.22
H29 6.05 -21.08 -50.18  0.18
H30 7.09 -21.36 -49.28  0.20
H31 9.40 -22.54 -51.79  0.23
H32 8.29 -22.77 -53.13  0.22
H33 8.09 -23.70 -51.59  0.18

Computed properties:
**Kohn-Sham gap**: 6.09 eV
**E_HOMO**: -5.38 eV
**LUMO energy**: 0.714 eV
**Spin multiplicity**: 1
**Charge**: -1

Computed, not measured: C18H33O3P3Pd as an isolated structure, with ωB97M-V/def2-TZVPD.

Last column: natural (NBO) charge in e.
Atoms and positions in Å:
P1 -0.24 2.92 -0.58  1.21
C1 -1.62 4.13 -0.71  -0.93
H1 -1.32 4.97 -1.36  0.30
H2 -1.84 4.52 0.29  0.27
H3 -2.52 3.66 -1.12  0.27
C2 1.05 4.20 -0.19  -0.91
H4 0.89 5.10 -0.81  0.31
H5 2.05 3.79 -0.39  0.26
H6 0.98 4.48 0.87  0.27
C3 0.16 2.84 -2.38  -0.93
H7 0.13 3.85 -2.81  0.31
H8 -0.56 2.20 -2.91  0.25
H9 1.16 2.42 -2.51  0.25
P2 -1.91 -1.97 -1.15  1.23
C4 -3.70 -1.74 -1.38  -0.98
H10 -4.09 -2.51 -2.06  0.32
H11 -3.88 -0.74 -1.81  0.28
H12 -4.21 -1.81 -0.42  0.28
C5 -1.04 -1.56 -2.68  -0.96
H13 -1.45 -2.16 -3.51  0.32
H14 0.03 -1.78 -2.55  0.26
H15 -1.17 -0.49 -2.90  0.26
C6 -1.59 -3.73 -0.88  -0.97
H16 -2.07 -4.32 -1.68  0.31
H17 -1.97 -4.06 0.09  0.28
H18 -0.50 -3.89 -0.91  0.27
P3 -0.89 -0.01 2.77  1.21
C7 -2.37 0.16 3.79  -0.97
H19 -2.09 0.06 4.84  0.31
H20 -3.13 -0.60 3.55  0.28
H21 -2.81 1.15 3.63  0.29
C8 0.02 -1.45 3.40  -0.96
H22 0.03 -1.42 4.49  0.31
H23 1.05 -1.39 3.02  0.26
H24 -0.43 -2.38 3.05  0.26
C9 0.16 1.38 3.22  -0.96
H25 0.18 1.46 4.32  0.32
H26 -0.24 2.31 2.79  0.26
H27 1.18 1.21 2.84  0.26
Pd1 -1.23 -0.53 0.55  0.29
C10 -1.79 0.98 -0.60  0.34
O1 -2.64 1.30 -1.36  -0.39
C11 -2.39 -1.85 1.42  0.41
O2 -2.97 -2.64 2.04  -0.36
C12 3.48 -2.20 -0.08  -0.07
C13 3.78 -0.79 0.23  -0.41
C14 3.54 0.12 -0.91  -0.10
C15 3.03 -0.31 -2.11  -0.22
C16 2.72 -1.67 -2.33  -0.08
C17 2.98 -2.59 -1.30  -0.23
H28 3.61 -2.93 0.72  0.26
H29 3.36 -0.45 1.20  0.32
H30 3.76 1.17 -0.74  0.24
H31 2.86 0.39 -2.94  0.26
H32 2.33 -2.01 -3.30  0.26
H33 2.74 -3.65 -1.47  0.27
O3 6.04 -0.37 1.31  -0.25
C18 5.39 -0.77 0.43  0.75

Computed properties:
'''

Outcome
H13 15.59 -24.34 -54.37  0.17
H13 -1.45 -2.16 -3.51  0.32